Exercise >
Please work out how many lines below have the word "Co" in them; a number is enough.

File >
........
VASP calculation (PBE with a Hubbard U) on a geometry-optimized TiMnO3 structure.

Computed properties:
Calculated density ... 4.49 g/cm3
Final energy ... -8.5528 eV per atom
Total magnetization ... 20.0 μB per cell
ΔE_f ... -1408 kJ/mol of formula units
Maximum piezoelectric response ... 3.81 C/m2

```
TiMnO3
1.0
-0.011 5.154 1.028
7.539 -0.246 1.310
1.404 1.055 -5.274
Ti Mn O
4 4 12
direct
0.000 0.994 0.990 Ti
0.500 0.494 0.490 Ti
0.000 0.494 0.990 Ti
0.500 0.994 0.490 Ti
0.000 0.217 0.434 Mn
0.000 0.717 0.434 Mn
0.500 0.716 0.934 Mn
0.500 0.216 0.934 Mn
0.301 0.576 0.226 O
0.801 0.076 0.726 O
0.688 0.462 0.838 O
0.188 0.962 0.338 O
0.812 0.462 0.338 O
0.312 0.962 0.838 O
0.113 0.263 0.036 O
0.613 0.763 0.536 O
0.887 0.763 0.036 O
0.387 0.263 0.536 O
0.199 0.576 0.726 O
0.699 0.076 0.226 O
```


VASP calculation (PBE with a Hubbard U) on a geometry-optimized Nd2W3O12 structure.

Computed properties:
Calculated density ... 6.63 g/cm3
Space group ... C2/c
Final energy ... -7.7984 eV per atom
Total magnetization ... 0.0 μB per cell
ΔE_f ... -4472 kJ/mol of formula units

```
Nd2W3O12
1.0
5.888 3.977 0.000
-5.888 3.977 0.000
0.000 3.907 11.034
Nd W O
4 6 24
direct
0.541 0.787 0.406 Nd
0.213 0.459 0.094 Nd
0.459 0.213 0.594 Nd
0.787 0.541 0.906 Nd
0.961 0.752 0.547 W
0.248 0.039 0.953 W
0.752 0.961 0.047 W
0.039 0.248 0.453 W
0.366 0.634 0.750 W
0.634 0.366 0.250 W
0.897 0.972 0.428 O
0.028 0.103 0.072 O
0.103 0.028 0.572 O
0.972 0.897 0.928 O
0.162 0.731 0.440 O
0.269 0.838 0.060 O
0.838 0.269 0.560 O
0.731 0.162 0.940 O
0.044 0.390 0.304 O
0.610 0.956 0.196 O
0.419 0.839 0.610 O
0.161 0.581 0.890 O
0.581 0.161 0.390 O
0.839 0.419 0.110 O
0.689 0.586 0.539 O
0.414 0.311 0.961 O
0.311 0.414 0.461 O
0.586 0.689 0.039 O
0.294 0.383 0.718 O
0.617 0.706 0.782 O
0.706 0.617 0.282 O
0.383 0.294 0.218 O
0.390 0.044 0.804 O
0.956 0.610 0.696 O
```


VASP calculation (PBE with a Hubbard U) on a geometry-optimized MgCr4O12 structure.

Computed properties:
Calculated density ... 2.03 g/cm3
Space group ... Pm
Final energy ... -6.5220 eV per atom
Energy above the lowest structure with this stoichiometry ... 149 meV/atom
Total magnetization ... 2.0 μB per cell
ΔE_f ... -2656 kJ/mol of formula units

```
MgCr4O12
1.0
5.888 0.000 -0.007
0.000 10.668 0.000
-0.009 0.000 5.521
Mg Cr O
1 4 12
direct
0.470 0.750 0.935 Mg
0.050 0.250 0.925 Cr
0.453 0.750 0.456 Cr
0.550 0.250 0.572 Cr
0.955 0.750 0.063 Cr
0.058 0.130 0.095 O
0.058 0.370 0.095 O
0.291 0.250 0.736 O
0.244 0.750 0.205 O
0.451 0.628 0.641 O
0.451 0.872 0.641 O
0.557 0.129 0.402 O
0.557 0.371 0.402 O
0.790 0.250 0.762 O
0.675 0.750 0.224 O
0.940 0.876 0.901 O
0.940 0.624 0.901 O
```


VASP calculation (PBE with a Hubbard U) on a geometry-optimized MgV3O4F4 structure.

Computed properties:
Calculated density ... 3.58 g/cm3
Space group ... Pm
Final energy ... -6.8085 eV per atom
Energy above the lowest structure with this stoichiometry ... 6 meV/atom
Total magnetization ... 5.0 μB per cell
ΔE_f ... -3386 kJ/mol of formula units

```
MgV3O4F4
1.0
4.799 0.146 0.000
0.088 9.819 0.000
0.000 0.000 3.121
Mg V O F
1 3 4 4
direct
0.491 0.097 0.250 Mg
0.001 0.847 0.750 V
0.490 0.389 0.750 V
0.524 0.641 0.250 V
0.309 0.481 0.250 O
0.323 0.729 0.750 O
0.711 0.546 0.750 O
0.804 0.774 0.250 O
0.303 0.198 0.750 F
0.188 0.963 0.250 F
0.692 0.276 0.250 F
0.707 0.015 0.750 F
```


VASP calculation (PBE with a Hubbard U) on a geometry-optimized LiMg14CoO16 structure.

Computed properties:
Calculated density ... 3.61 g/cm3
Space group ... Pmmm
Final energy ... -5.9160 eV per atom
Energy above the lowest structure with this stoichiometry ... 0 meV/atom
Total magnetization ... 0.7 μB per cell
ΔE_f ... -8814 kJ/mol of formula units

```
LiMg14CoO16
1.0
8.473 0.000 0.000
0.000 8.501 0.000
0.000 0.000 4.231
Li Mg Co O
1 14 1 16
direct
0.000 0.500 0.000 Li
0.500 0.000 0.000 Mg
0.500 0.500 0.000 Mg
0.000 0.256 0.500 Mg
0.000 0.744 0.500 Mg
0.500 0.252 0.500 Mg
0.500 0.748 0.500 Mg
0.248 0.000 0.500 Mg
........

Completed >
1